### Listing
<<<
ORCA calculation (wB97M-V/def2-TZVPD) on a molecular structure, C29H44CdN6O9S2Si at a distorted geometry.

Properties
HOMO-LUMO gap in eV: 7.06
ΔE to the lowest compared entry with this formula, charge and spin in kJ/mol: 209.6
Net charge: -2
HOMO energy in eV: -2.776
E_tot in eV: -92277.3433
Maximum force in eV Å⁻¹: 2.74

```
92
Properties=species:S:1:pos:R:3:forces:R:3
Cd -0.95253 0.63689 1.67945 -1.598 0.148 -0.976
O -4.67912 -1.16657 0.83511 0.015 0.116 -0.068
C -3.85427 -0.27783 1.00022 -0.262 -0.133 0.187
N -3.14990 0.06675 2.08877 0.100 -0.155 -0.224
C -3.56640 -0.08932 3.34951 -0.377 -0.067 -0.151
O -4.66526 -0.46410 3.74978 0.122 -0.094 0.225
C -2.55303 0.43830 4.33337 -0.281 -0.043 0.712
C -2.51647 -0.06771 5.62757 0.019 -0.042 -0.108
C -1.59101 0.45353 6.51426 0.006 0.053 -0.131
C -0.80940 1.51991 6.10459 -0.118 0.127 -0.004
C -0.97352 2.00578 4.81339 0.082 0.190 0.411
N -1.79066 1.45415 3.93424 -0.093 -0.101 0.025
C -3.53277 0.65492 -0.15002 -0.404 0.042 -0.546
C -4.28364 0.57301 -1.32172 0.059 -0.077 0.022
C -4.00933 1.44196 -2.36028 0.076 0.061 0.133
C -3.01240 2.38949 -2.17835 0.016 0.022 0.058
C -2.34656 2.41829 -0.95969 -0.019 0.274 -0.387
N -2.59262 1.57492 0.02235 -0.055 -0.062 0.041
H -3.18017 -0.87422 5.90161 -0.025 -0.029 -0.065
H -1.48058 0.03601 7.50675 -0.002 -0.025 0.031
H -0.07868 1.96572 6.76484 0.033 0.047 -0.011
H -0.42807 2.87026 4.46835 0.132 -0.013 -0.027
H -5.04446 -0.18948 -1.39313 -0.018 -0.059 0.052
H -4.55471 1.38270 -3.29495 -0.001 -0.006 0.003
H -2.74979 3.08539 -2.96434 0.014 0.055 0.024
H -1.59799 3.16807 -0.75045 0.152 0.025 -0.071
C 2.41488 -0.19336 1.83433 -0.450 0.493 0.177
S 1.78036 1.44444 2.26562 2.378 0.732 1.136
O 2.93069 2.35192 2.16145 -0.117 -0.428 -0.255
O 0.74450 1.87196 1.29588 0.317 0.173 -0.273
O 1.27574 1.34738 3.62410 -0.028 -0.111 -0.417
H 3.45014 -0.08975 1.53343 0.036 0.097 -0.088
H 1.81521 -0.61259 1.03920 0.002 -0.135 0.001
H 2.32838 -0.78466 2.73706 -0.035 -0.146 0.058
S 0.22299 -2.91729 4.74474 0.398 -1.127 1.182
C -0.13607 -1.82479 3.64005 -0.386 1.131 -1.384
N -0.38530 -1.04276 2.80794 0.456 -1.275 0.923
C 2.24343 -3.84228 -1.74016 -0.138 0.107 0.197
C 1.36953 -3.78709 -0.48336 0.411 -0.756 0.043
C 2.26918 -3.78951 0.75899 -0.334 0.025 -0.261
C 0.44717 -5.01781 -0.46677 0.187 0.371 0.034
O 0.55527 -2.65833 -0.42654 -0.284 0.098 0.110
Si 0.50854 -1.19197 -1.16534 0.129 -0.448 -0.406
O -0.47077 -0.24572 -0.42388 -0.143 0.474 0.208
O 2.12514 -0.79203 -1.29324 -0.224 -0.275 0.401
C 2.70442 0.29825 -1.94831 0.606 0.568 -0.582
C 1.84845 1.55449 -1.80330 0.137 -0.389 0.130
C 4.08219 0.56024 -1.31263 -0.423 -0.099 -0.093
C 2.87362 -0.05618 -3.43705 -0.074 0.001 0.389
O 0.14712 -1.45085 -2.78606 0.450 0.133 0.336
C -1.07597 -1.78419 -3.36741 -0.636 -0.198 -0.652
C -1.53394 -0.59489 -4.22651 0.199 -0.280 0.273
C -0.84253 -3.01294 -4.26614 -0.021 0.347 0.261
C -2.15400 -2.11802 -2.33883 0.267 0.143 -0.006
H 2.81480 -4.76971 -1.75276 0.061 -0.098 -0.011
H 2.91977 -2.99537 -1.74180 0.165 0.100 -0.086
H 1.62503 -3.78659 -2.63019 -0.091 -0.002 -0.205
H 2.89038 -4.68393 0.78505 0.111 -0.078 0.040
H 1.65180 -3.74621 1.65107 -0.075 -0.017 0.199
H 2.89585 -2.90275 0.74039 0.187 0.105 -0.006
H 1.02723 -5.93834 -0.50917 0.060 -0.116 0.020
H -0.22449 -4.98198 -1.32151 -0.079 -0.008 -0.153
H -0.15341 -5.00856 0.43617 -0.121 -0.017 0.187
H 1.55042 1.64137 -0.76159 -0.017 0.180 0.029
H 0.94755 1.45521 -2.40026 -0.259 0.090 -0.169
H 2.41475 2.43169 -2.11332 0.014 0.126 -0.076
H 3.96048 1.03107 -0.34109 0.032 0.066 0.161
H 4.67220 1.22055 -1.94745 0.052 0.087 -0.067
H 4.61537 -0.37981 -1.18705 0.063 -0.128 -0.017
H 1.93785 -0.49002 -3.77287 -0.079 0.000 -0.207
H 3.66333 -0.79479 -3.56132 0.126 -0.114 -0.044
H 3.10858 0.82841 -4.02631 0.096 0.115 -0.080
H -0.74497 -0.31113 -4.91993 0.115 -0.003 -0.131
H -1.73553 0.24545 -3.57054 -0.065 0.177 0.068
H -2.43263 -0.84758 -4.78513 -0.173 0.030 -0.084
H -0.01744 -2.83700 -4.95323 0.100 0.091 -0.092
>>>

### Job
Copy the part of the listing further up that starts with the line with "compared entry" and stops after the one with "0.022 0.058".

### Reply
ΔE to the lowest compared entry with this formula, charge and spin in kJ/mol: 209.6
Net charge: -2
HOMO energy in eV: -2.776
E_tot in eV: -92277.3433
Maximum force in eV Å⁻¹: 2.74

```
92
Properties=species:S:1:pos:R:3:forces:R:3
Cd -0.95253 0.63689 1.67945 -1.598 0.148 -0.976
O -4.67912 -1.16657 0.83511 0.015 0.116 -0.068
C -3.85427 -0.27783 1.00022 -0.262 -0.133 0.187
N -3.14990 0.06675 2.08877 0.100 -0.155 -0.224
C -3.56640 -0.08932 3.34951 -0.377 -0.067 -0.151
O -4.66526 -0.46410 3.74978 0.122 -0.094 0.225
C -2.55303 0.43830 4.33337 -0.281 -0.043 0.712
C -2.51647 -0.06771 5.62757 0.019 -0.042 -0.108
C -1.59101 0.45353 6.51426 0.006 0.053 -0.131
C -0.80940 1.51991 6.10459 -0.118 0.127 -0.004
C -0.97352 2.00578 4.81339 0.082 0.190 0.411
N -1.79066 1.45415 3.93424 -0.093 -0.101 0.025
C -3.53277 0.65492 -0.15002 -0.404 0.042 -0.546
C -4.28364 0.57301 -1.32172 0.059 -0.077 0.022
C -4.00933 1.44196 -2.36028 0.076 0.061 0.133
C -3.01240 2.38949 -2.17835 0.016 0.022 0.058